How many lbs do you fluctuate?

I sometimes get frustrated when I go up and down so much from one morning to the next. I can't avoid stepping on the scale. I know I'm doing everything I should. I eat right and exercise. I've lost 45 lbs and am having trouble with the last 15. Do you say your weight is the lowest one you've ever recorded? How often do you weigh yourself?


  • graelwyn
    graelwyn Posts: 1,340 Member
    I weigh myself daily.
    It fluctuates according to what I have eaten really, and goes up the most if I have bread or wheat based products in excess. It has gone up by as much as 4Ibs in less than 24 hours, then dropped back down again.
    It also changes according to how much exercise I have done. I would imagine everyone's weight fluctuates by a few pounds from day to day, one can't expect the body to stay precisely the same number every single day, it doesn't work that way, with things like fluid balance and speed of digestion to take into account.

Between two parts of the text: records of molecules:
-- begin --
--- w ---
{
  "formula": "C4H4O2",
  "method": "ωB97M-V with the def2-TZVPD basis set",
  "smiles": "O=CC#CCO",
  "homo_energy_ev": -10.578,
  "homo_lumo_gap_ha": 0.3883,
  "multiplicity": 1,
  "elements": ["O", "C", "C", "C", "C", "O", "H", "H", "H", "H"],
  "coordinates": [[-1.57, -0.20, 2.94], [-1.60, 0.40, 1.89], [-0.65, 0.13, 0.82], [0.19, -0.13, 0.00], [1.25, -0.44, -0.97], [2.01, 0.69, -1.35], [-2.35, 1.18, 1.69], [1.95, -1.14, -0.51], [0.80, -0.95, -1.84], [1.40, 1.35, -1.69]]
}

---

--- x ---
{
  "formula": "C4H4O2",
  "method": "ωB97M-V with the def2-TZVPD basis set",
  "smiles": "C#CC(=O)CO",
  "homo_energy_ev": -10.800,
  "homo_lumo_gap_ha": 0.3968,
  "multiplicity": 1,
  "elements": ["C", "C", "C", "O", "C", "O", "H", "H", "H", "H"],
  "coordinates": [[-2.20, 0.63, -0.92], [-1.28, 0.64, -0.14], [0.01, 0.52, 0.52], [0.52, 1.36, 1.23], [0.74, -0.76, 0.13], [2.09, -0.73, 0.46], [-3.00, 0.64, -1.62], [0.24, -1.60, 0.63], [0.56, -0.88, -0.95], [2.31, 0.18, 0.68]]
}

---

--- y ---
{
  "formula": "C4H4O2",
  "method": "ωB97M-V with the def2-TZVPD basis set",
  "homo_energy_ev": -9.615,
  "homo_lumo_gap_ha": 0.3579,
  "multiplicity": 1,
  "elements": ["O", "C", "C", "O", "C", "C", "H", "H", "H", "H"],
  "coordinates": [[-2.03, -0.84, -0.32], [-1.53, 0.46, -0.47], [-0.06, 0.71, -0.53], [0.53, -0.48, -0.26], [1.76, -0.37, 0.24], [2.76, -0.17, 0.88], [-1.29, -1.42, -0.11], [-1.75, 1.09, 0.42], [-2.01, 0.97, -1.31], [3.63, 0.05, 1.45]]
}

---

--- z ---
{
  "formula": "C4H4O2",
  "method": "ωB97M-V with the def2-TZVPD basis set",
  "smiles": "O=CC#CCO",
  "homo_energy_ev": -10.401,
  "homo_lumo_gap_ha": 0.3865,
  "multiplicity": 1,
  "elements": ["O", "C", "C", "C", "C", "O", "H", "H", "H", "H"],
  "coordinates": [[3.30, -0.03, -0.91], [2.22, -0.08, -0.40], [0.89, 0.16, -0.96], [-0.26, 0.36, -0.64], [-1.46, 0.40, 0.22], [-1.52, -0.77, 1.00], [2.06, -0.31, 0.68], [-1.29, 1.22, 0.93], [-2.39, 0.59, -0.33], [-1.56, -1.53, 0.41]]
}

---

Relative energies, unit kcal/mol: w 3.8; x 0.0; y 79.3; z 16.6

---

--- w ---
{
  "formula": "C4H4O2",
  "method": "ωB97M-V with the def2-TZVPD basis set",
  "smiles": "C[C@]12O[C@H]1C2=O",
  "homo_energy_ev": -9.014,
  "homo_lumo_gap_ha": 0.3634,
  "multiplicity": 1,
  "elements": ["C", "C", "O", "C", "C", "O", "H", "H", "H", "H"],
  "coordinates": [[-1.31, -0.33, 0.47], [0.10, 0.20, 0.43], [0.27, 1.59, 0.08], [1.12, 0.76, -0.76], [1.51, -0.24, 0.11], [2.20, -1.19, 0.21], [-1.28, -1.31, -0.06], [-1.97, 0.31, -0.04], [-1.68, -0.47, 1.46], [1.05, 0.67, -1.90]]
}

---

--- x ---
{
  "formula": "C4H4O2",
  "method": "ωB97M-V with the def2-TZVPD basis set",
  "smiles": "C=C1C(=O)[C@@H]1O",
  "homo_energy_ev": -9.381,
  "homo_lumo_gap_ha": 0.3554,
  "multiplicity": 1,
  "elements": ["C", "C", "C", "O", "C", "O", "H", "H", "H", "H"],
-- stop --
The text goes on:

    Simply not drinking quite enough in hot weather could show a change, so it is best not to be bothered by day to day fluctuations unless they are remaining in the upwards direction on a week to week basis.
  • crystal8208
    crystal8208 Posts: 284 Member
    Bump! I also struggle with this. I went up by 2 pounds and had to take one of my achieved goals away. That sucked! :sad:
  • vallemic
    vallemic Posts: 278 Member
    I weigh myself daily, every morning, after I go to the bathroom with my pjs on :) It does go up and down. However, I only "record" my weight once per week... for me, it's Monday morning. Pick a weigh-in day/time and stick to the same time for an accurate reading of what you weigh from week to week.
  • Slhuth
    Slhuth Posts: 43 Member
    I weigh myself daily also, but only record in MFP if it is same weight for 3 days in a row...
  • ilovedeadlifts
    ilovedeadlifts Posts: 2,923 Member
    I fluctuate about 5-6 pounds from morning to afternoon.

'''
[1]
# C3H4NO2S

An isolated ion of composition C3H4NO2S and charge -1 in a non-equilibrium geometry (ωB97M-V/def2-TZVPD, OMol25).

Structure (ORCA input):
```
! wB97M-V def2-TZVPD RIJCOSX def2/J DEFGRID3
* xyz -1 1
C -1.892 -0.502 -0.423
N -0.672 -0.561 -0.760
C 0.275 -0.279 0.154
S 1.532 -1.525 0.024
C 0.931 1.259 0.078
O 2.154 1.238 -0.072
O 0.065 2.121 0.099
H -2.528 -0.504 -1.196
H -2.218 -0.189 0.608
H -0.190 -0.383 1.253
H 2.544 -0.674 0.237
*
```

The calculation puts the LUMO energy at 3.656 eV. Its HOMO energy is -4.28 eV. The HOMO-LUMO gap is 7.93 eV. The SMILES is C=N[C@@H](S)C(=O)[O-].

=====

[2]
# C31H41I2N6O6PReS3

C31H41I2N6O6PReS3 as an isolated structure (ωB97M-V/def2-TZVPD, OMol25).

Structure (ORCA input):
```
! wB97M-V def2-TZVPD RIJCOSX def2/J DEFGRID3
* xyz 0 4
Re -0.786 0.009 0.325
C -3.537 0.824 -3.019
C -2.272 0.789 -2.216
N -2.186 -0.025 -1.193
N -3.061 -1.127 -1.251
C -2.493 -2.210 -0.865
S -0.835 -2.305 -0.310
S -3.330 -3.734 -0.780
C -4.875 -3.421 -1.684
C -4.784 -3.764 -3.143
C -4.401 -2.803 -4.071
C -4.295 -3.123 -5.417
C -4.573 -4.411 -5.850
C -4.959 -5.376 -4.930
C -5.064 -5.053 -3.585
C -1.131 1.565 -2.653
C -1.267 2.450 -3.737
C -0.185 3.061 -4.320
C 1.096 2.779 -3.841
C 1.269 1.926 -2.778
C 0.167 1.339 -2.145
O 0.436 0.589 -1.083
H -4.326 0.281 -2.512
H -3.382 0.411 -4.017
H -3.838 1.865 -3.135
H -5.147 -2.381 -1.514
H -5.614 -4.045 -1.182
H -4.183 -1.802 -3.723
H -3.998 -2.364 -6.130
H -4.494 -4.662 -6.899
H -5.182 -6.382 -5.261
H -5.366 -5.810 -2.871
H -2.252 2.663 -4.124
H -0.323 3.747 -5.144
H 1.960 3.242 -4.303
H 2.251 1.709 -2.379
C 4.521 5.811 1.958
C 3.169 5.219 1.670
C 3.014 4.214 0.718
C 1.773 3.654 0.470
C 0.669 4.102 1.182
C 0.796 5.108 2.124
C 2.045 5.661 2.362
S -0.898 3.341 0.857
O -1.057 3.265 -0.570
O -1.885 4.048 1.628
N -0.701 1.832 1.411
C -0.793 1.862 2.892
C -0.210 0.639 3.595
O 0.844 0.742 4.198
O -0.869 -0.484 3.517
H 5.261 5.482 1.229
H 4.870 5.511 2.948
H 4.486 6.901 1.940
H 3.879 3.868 0.163
H 1.650 2.874 -0.273
H -0.081 5.450 2.657
H 2.148 6.448 3.099
H -1.834 1.994 3.196
H -0.228 2.714 3.273
C 1.693 -2.110 4.534
N 1.471 -2.411 3.119
C 0.470 -3.452 2.916
P 1.923 -1.420 1.913
O 0.919 -0.413 1.366
N 2.307 -2.456 0.686
C 2.576 -1.917 -0.643
C 3.004 -3.713 0.921
N 3.178 -0.528 2.457
C 3.271 0.921 2.341
C 4.373 -1.180 2.962
H 2.235 -2.941 4.996
H 0.732 -1.976 5.029
H 2.240 -1.183 4.652
H 0.776 -4.355 3.451
H 0.354 -3.685 1.861
H -0.496 -3.121 3.305
H 2.074 -0.965 -0.788
H 2.206 -2.615 -1.396
H 3.653 -1.780 -0.794
H 2.820 -4.080 1.927
H 4.085 -3.599 0.780
H 2.647 -4.459 0.208
H 2.334 1.332 1.981
H 4.079 1.194 1.653
H 3.468 1.359 3.322
H 4.211 -2.251 3.076
H 4.635 -0.774 3.943
H 5.221 -1.026 2.288
I -2.773 -0.548 2.329
I -5.298 -0.554 1.097
*
```

The calculation puts the LUMO energy (alpha / beta) at -0.562 / -1.113 eV. Its HOMO energy (alpha / beta) is -7.84 / -8.36 eV. The HOMO-LUMO gap (alpha / beta) is 7.27 / 7.25 eV.

=====

[3]
# C5H10N
'''
**The calculated molecules stop here**

    But from day to day (same time) only a pound or so, depending on water levels
  • bcattoes
    bcattoes Posts: 17,299 Member
    I enter the lowest weight. My weight fluctuates 3-5 lbs from day to day.
  • escloflowneCHANGED
    escloflowneCHANGED Posts: 3,038 Member
    I weigh myself everyday to see the fluctuations but only weigh in once a week. Used to be Fridays but I have my personal trainer on Thursdays, as an example, this friday I weighed in at 237 lbs and then weighed in again on Saturday morning after just a cardio session on Friday night and weighed 233lbs. Today I was 233 again but tomorrow I will probably be higher since I have strength training tonight. My body holds a lot of water after intense workouts.
  • Articeluvsmemphis
    Articeluvsmemphis Posts: 1,987 Member
    once in the morning when I wake up and record it. weight fluctuates about 2-5pounds during TOM and goes back down quickly
  • Blanche76
    Blanche76 Posts: 89 Member
    I weigh myself every Saturday mornings, some times i will loose weight & other times I don't, when I don't lose anything I also not gaining. Hang in there!
  • keeponkickin
    keeponkickin Posts: 1,520 Member
    Confessing to being a daily weigher myself. I can bounce between the same 4 pounds.
  • ErinBeth7
    ErinBeth7 Posts: 1,625 Member
    I know I shouldn't weight myself more than once a week, but I do. I can fluctuate up to 3 lbs. It can be quite deterring, but I only really count my official weight in which is Monday mornings.
  • DsAdvocate
    DsAdvocate Posts: 93 Member
    My weight can change about 10lbs per week. It's frustrating. Typically it bounces around 5lbs.
  • jovz10
    jovz10 Posts: 531 Member
    bump this one.... wondering the same thing... i weight myself every day too and . i've been up and down for about 3 weeks.... hoovering between 130 and 128... i've lost 28lbs and i just want 4 more lbs to go away.... sticky little thing cuz they won't go away... sometimes i don't even know when to log my weight.... :explode:
  • _LilPowerHouse
    _LilPowerHouse Posts: 365 Member
    On a daily basis I will fluctuate 5 to 6 lbs also, So I simply weigh-in on the last Monday of the month, I do this in the morning and whatever the number is I just log it in.
  • MeliciousGibson
    MeliciousGibson Posts: 248 Member
    I fluctuate the same 3-4 pounds every day. I weigh myself in the morning right after I go to the bathroom. I'll get down to the lowest weight I've been in a while, then pop back up 3-4 pounds for at least a week, sometimes 2. Then the next time I drop back down a bit lower - then back up 3-4 pounds for another week or two. It's infuriating.
  • karenjoy
    karenjoy Posts: 1,840 Member
    between 2 to 5lb, I weigh most days but only record once a week, I no longer worry about a bit of movement on the scale, as long as overall its in the right direction and not going up and up each time, my highest weight at the moment is still UNDER my original goal weight, so it would be silly of me to worry x
  • grumpya
    grumpya Posts: 54 Member
    Weigh whenever record what I weigh on a saturday morning sometimes it is more than I weighed a day or 2 before sometimes it is the lowest of the week. Its the overall pattern that matters, what you weigh on the first of each month, that shows the overall trend. I can weigh 5lbs more if I ate a big meal in the evening just cos its all still sitting inside me soaking up fluid. If I drink alchohol I can weigh 3 or 4 lbs less, dehydration. The reading on the scales is just a number that indicates that you are going the right way. Try plotting your weight on the first of the month for 6 months. That will show the real pattern
  • AmandaK3
    AmandaK3 Posts: 80
    My weight goes up and down 1-3lbs from day to day. Depending on what I eat, and what time of the month it is (oh they joys of being female). I use to weigh myself daily but it was too frusturating, so now I do once a week. I do in the morning right before hoping in the shower.

What comes next are quantum chemistry results, not part of the piece
-- begin --
Entry 1:
Entry from the Open Molecules 2025 dataset: a cluster of 2 separate species, C11H23FNO2 in total in a non-equilibrium geometry (wB97M-V/def2-TZVPD).

The value obtained for the gap between HOMO and LUMO is 10.19 eV. The value obtained for the LUMO energy is -3.04 eV. The total charge is +1. Its spin multiplicity is 1. The electronic energy comes out at -20072.8696 eV.

Each line ends with the Löwdin charge.
Element x y z (Å)
F  -1.7251  -0.4555  5.2215  -0.15
C  -0.9522  0.3704  4.2200  -0.14
C  -0.9456  -0.4863  2.8228  -0.17
C  -1.0056  0.4167  1.4531  -0.13
C  0.4331  1.0912  1.0143  -0.27
C  1.6878  0.0727  0.6185  -0.09
C  2.9064  0.6493  1.5982  -0.12
C  2.1775  1.8273  2.4888  -0.11
N  0.9363  2.3248  1.7317  0.04
H  0.1319  0.4858  4.7055  0.12
H  -1.4700  1.4181  4.1629  0.12
H  -1.9408  -1.1434  2.8314  0.14
H  -0.0496  -1.2631  2.8370  0.12
H  -1.2854  -0.3409  0.5737  0.14
H  -1.9076  1.1985  1.4653  0.14
H  0.1620  1.5305  -0.0604  0.13
H  1.3093  -0.9869  0.9543  0.12
H  1.8737  0.1547  -0.5506  0.14
H  3.0693  -0.2546  2.3499  0.14
H  3.8204  1.0002  0.9572  0.13
H  2.8297  2.6116  3.0640  0.15
H  1.6872  1.2158  3.3582  0.11
H  1.1805  3.0745  1.0255  0.20
H  0.1793  2.7665  2.3011  0.19
O  -0.6712  1.1166  -2.1266  0.05
C  -0.9432  0.1403  -2.8205  -0.49
O  -0.6638  -1.1093  -2.3838  -0.02
C  -1.1248  -2.3159  -3.0182  -0.22
C  -0.1772  -2.7419  -4.1232  -0.06
C  -1.4990  0.3156  -4.2042  0.02
H  -2.1577  -2.2082  -3.3677  0.12
H  -1.1401  -3.0876  -2.2409  0.13
H  -0.1245  -1.9939  -4.9181  0.07
H  -0.4989  -3.6905  -4.5610  0.09
H  0.8370  -2.8604  -3.7315  0.09
H  -0.6749  0.4428  -4.9105  0.11
H  -2.1219  1.2164  -4.2140  0.10
H  -2.1425  -0.5021  -4.5237  0.08

Forces on atoms 1 to 6 (eV/Å):
F 1.7 1.9 -2.2
C 0.1 -1.1 0.8
C -0.9 -0.2 0.3
C 0.3 -0.8 0.2
C -2.1 -0.6 -5.0
C -1.0 1.1 1.3

---

Entry 2:
Entry from the Open Molecules 2025 dataset: a structure of composition C27H35CrFN4P2 in a non-equilibrium geometry (wB97M-V/def2-TZVPD).

The value obtained for the gap between HOMO and LUMO (alpha / beta) is 6.57 / 6.09 eV. The value obtained for the LUMO energy (alpha / beta) is 0.17 / -0.11 eV. As for the expectation value of S²: 6.4280. The total charge is 0. Its spin multiplicity is 5. Its energy above the lowest of the compared OMol25 structures with the same formula, charge and spin is 6.828 eV. The electronic energy comes out at -84235.3681 eV.

Each line ends with the Löwdin spin population.
Element x y z (Å)
Cr  -1.5736  0.1661  1.5785  3.83
C  2.5947  -3.5267  0.9341  0.00
C  3.2561  -2.4080  0.5969  0.00
C  3.4861  -1.8543  -0.7717  0.00
C  2.4660  -2.2222  -1.8861  0.00
C  0.9950  -2.0786  -1.6299  0.00
C  0.2803  -2.7224  -0.6801  0.01
C  0.5215  -4.1814  -0.4286  0.00
C  1.9924  -4.5166  -0.0102  0.00
C  -2.9415  1.7188  0.2894  -0.08
H  2.5001  -3.8348  1.9901  0.00
H  3.8927  -1.9075  1.3536  0.00
H  4.4678  -2.2194  -1.1189  0.00
H  3.5918  -0.7583  -0.6727  0.00
H  2.6959  -1.5454  -2.7194  0.00
-- stop --
The piece goes on

    Since it does go up and down I only record it on MFP if it's more than 2 lbs.
  • BrittSwimsJDRF
    BrittSwimsJDRF Posts: 50 Member
    I have started to weigh daily, because I noticed erratic numbers on the scale. The more I run, the more water I hold on to, so I can fluctuate anywhere from 4 - 7 pounds in one day! Hang in there, retire the scale for a month, and focus on measurements and NSVs.
  • firedragon064
    firedragon064 Posts: 1,082 Member
    7 lb. Unless I lose 10 lb on the scale. I don't get so excited when my scale went down for couple lb.